Entries
=====
Entry 1:
Formula: NO5P
Source: the OMol25 dataset
Level of theory: ωB97M-V/def2-TZVPD

Values from the calculation:
**Total energy**: -21016.7375 eV
**Kohn-Sham gap**: 6.72 eV
**F_max**: 1.64 eV/Å
**Lowest unoccupied orbital energy**: 6.50 eV
**Net charge**: -2
**M**: 124.976 g/mol
**Relative energy (zero: lowest compared OMol25 entry of this formula, charge and spin)**: 0.3 kcal per mole

```
7
Properties=species:S:1:pos:R:3:forces:R:3
N -0.00295 1.81185 -2.25206 0.46 -0.63 -0.24
O -0.66834 2.85250 -2.06174 0.27 -0.25 -0.96
O 1.16304 -1.56184 0.91258 0.27 -0.23 -0.09
O -1.30480 -1.88649 1.58357 -0.14 -0.22 -0.07
O 0.31979 1.47356 -3.43774 -0.75 1.10 0.96
O 0.39947 -1.15307 3.32654 0.22 0.07 0.52
P 0.09379 -1.53651 1.92884 -0.32 0.16 -0.12
```
Positions in Å, forces in eV/Å.

Just the Mulliken charges please, in e? Sure, here they are: 0.0749 -0.5345 -0.6145 -0.6407 -0.5317 -0.6571 0.9036

---

Entry 2:
Formula: C18H39F2NO13
Source: the OMol25 dataset
Level of theory: ωB97M-V/def2-TZVPD

Values from the calculation:
**Total energy**: -52824.5911 eV
**Kohn-Sham gap**: 7.48 eV
**F_max**: 13.08 eV/Å
**Lowest unoccupied orbital energy**: -0.64 eV
**M**: 515.500 g/mol
**Relative energy (zero: lowest compared OMol25 entry of this formula, charge and spin)**: 83.8 kcal per mole

```
73
Properties=species:S:1:pos:R:3:forces:R:3
N 1.46434 3.30666 -1.76468 7.32 -1.70 -9.06
H 1.87234 4.18266 -2.02268 1.10 0.62 -0.33
H 1.69234 2.95566 -0.96968 3.21 -3.27 7.13
H 1.77934 2.51166 -2.52068 -2.20 2.44 1.95
H 0.63534 3.51966 -1.55968 -9.87 1.18 0.32
O 1.14334 0.59166 -0.30768 5.21 3.87 -4.10
H 0.52134 0.17566 0.13032 -4.92 -3.18 3.51
C 2.29434 1.18966 2.71932 0.36 -0.83 0.86
C 3.65734 0.72566 2.03832 -3.51 -0.16 0.60
O 3.74034 -0.63534 2.42832 0.97 -0.17 0.40
C 2.80934 -0.95634 3.36132 -0.80 -3.82 2.24
O 2.62634 -2.05734 3.95932 1.38 4.43 -2.87
O 2.05634 0.09366 3.56332 -1.26 -0.76 1.83
F 4.70834 1.48066 2.37632 0.51 -0.17 0.21
H 1.35534 1.25266 2.19232 0.48 0.14 -1.60
H 2.24334 2.01466 3.40632 1.07 0.88 0.01
H 3.42234 0.67266 1.01632 0.63 0.41 -1.79
C 2.12934 -1.11434 -2.94468 -5.02 -3.20 -9.57
C 0.87734 -1.83734 -2.54768 1.59 -0.54 -2.17
O 1.30234 -3.27234 -2.52068 -2.61 3.39 0.14
C 2.43034 -3.32334 -3.22568 3.72 -5.26 1.18
O 3.08834 -4.38134 -3.29568 -2.33 2.78 -0.54
O 2.92834 -2.17734 -3.56468 -0.19 1.98 -0.73
F -0.06866 -1.52434 -3.53568 0.21 -1.49 0.19
H 2.70934 -0.72734 -2.34268 4.99 4.02 6.69
H 1.79134 -0.36534 -3.80868 1.00 -1.39 1.87
H 0.56134 -1.27734 -1.74668 -1.28 -0.27 3.19
C -1.74366 -0.82134 2.13432 -0.81 -1.13 -4.83
O -2.62766 -1.66934 2.73932 -3.28 -0.24 0.81
C -3.74566 -0.90834 3.40332 4.00 1.58 1.21
C -4.63366 -1.83534 4.21932 -2.51 6.21 -2.48
O -3.83266 -2.60534 4.81332 2.87 -4.88 5.09
C -4.39566 -3.56834 5.73732 6.49 -4.96 -10.21
C -3.22666 -4.43834 6.25532 -3.59 -1.62 -0.93
O -2.73566 -5.25134 5.24332 1.26 -1.86 -1.09
C -2.26066 -6.53234 5.78132 -0.40 6.16 5.71
H -2.27066 -0.20934 1.25732 0.83 -0.72 1.59
H -1.05066 -1.52534 1.51832 -0.49 1.51 1.53
H -1.34166 -0.14134 2.81532 1.36 1.12 1.02
H -4.32466 -0.27734 2.65432 0.92 -0.51 0.98
H -3.01866 -0.34534 4.20832 -2.31 -0.24 -1.81
H -5.16266 -2.21434 3.40432 -2.08 -1.78 -0.95
H -5.31166 -1.14634 4.88832 0.82 -1.13 -1.05
H -5.07066 -4.24834 5.19232 0.03 0.28 0.07
H -4.76366 -3.29834 6.50932 -5.23 4.96 9.41
H -3.70966 -4.99934 7.12032 0.87 0.25 -0.73
H -2.42166 -3.89234 6.51732 2.38 2.38 1.80
H -1.60866 -6.35234 6.81432 -1.07 -0.28 -2.71
H -1.80366 -7.17034 5.19832 2.20 -2.70 -3.59
H -3.16366 -6.80434 6.16732 -2.22 -2.38 1.12
C -2.23666 1.64366 -1.72568 3.75 -2.94 -5.49
O -1.76866 2.23866 -3.04468 0.49 -1.18 1.96
C -0.91066 1.28966 -3.74068 1.71 3.23 1.96
C -0.17766 1.99466 -4.89468 -4.46 -7.33 -4.34
O 0.67234 2.88366 -4.64568 5.07 3.68 4.70
C 1.29634 3.63766 -5.63868 -3.34 0.82 0.27
C 2.59834 4.06666 -5.20368 2.47 2.23 0.82
O 2.65034 5.00866 -4.11468 -0.40 0.10 1.97
C 4.00634 5.33166 -3.67668 -1.50 3.16 -2.91
H -3.03766 1.04866 -1.80568 -3.94 -1.15 -0.73
=====

Activity
Restate only the lines above with the word "unoccupied" in them.

Response
**Lowest unoccupied orbital energy**: 6.50 eV
**Lowest unoccupied orbital energy**: -0.64 eV